Request:
Could you return the part of the data below that starts with the line with "-1.4579" and stops after the one with "-3.0624 -0.6368"?
Listing:
'''
C29H33N6O2RuS | ωB97M-V/def2-TZVPD

The geometry in XYZ format:
```
72
Properties=species:S:1:pos:R:3
Ru 0.4414 -0.3645 -0.0040
C -2.6050 1.6821 -5.9260
C -2.0936 0.9320 -4.7464
C -2.8382 -0.0853 -4.1593
C -2.3794 -0.8125 -3.0463
C -3.2152 -1.8105 -2.5048
N -2.9542 -2.5567 -1.4462
C -3.8963 -3.4514 -0.8328
C -4.4155 -2.9009 0.5049
C -5.0141 -1.4927 0.3747
N -4.0278 -0.4885 0.6833
C -4.2266 0.5620 1.4488
C -3.2182 1.4339 1.9008
C -3.5547 2.4884 2.7638
C -2.5979 3.3206 3.3264
C -3.0062 4.4203 4.2469
C -1.2579 3.0686 3.0543
C -0.8391 2.0370 2.1896
C 0.5653 1.8370 2.0203
N 1.1979 0.9301 1.3389
C 2.6486 0.9185 1.4092
C 3.2910 0.3646 0.1310
C 2.8043 1.1003 -1.1198
N 1.4711 0.6559 -1.4579
C 0.9591 0.9531 -2.6056
C -0.3386 0.5781 -3.0757
C -0.8514 1.2446 -4.2003
C -1.0905 -0.4849 -2.4673
O -0.6460 -1.1802 -1.4905
C -1.8330 1.2393 1.5277
O -1.5604 0.3995 0.6115
H -3.6139 1.3744 -6.1825
H -1.9561 1.5106 -6.7854
H -2.6039 2.7538 -5.7271
H -3.8057 -0.3302 -4.5685
H -4.1604 -1.9903 -3.0000
H -2.0453 -2.4313 -1.0012
H -3.4126 -4.4152 -0.6566
H -4.7372 -3.6100 -1.5131
H -3.6106 -2.8878 1.2435
H -5.1809 -3.5861 0.8680
H -5.8622 -1.3733 1.0525
H -5.3820 -1.3366 -0.6456
H -3.0624 -0.6368 0.3791
H -5.2399 0.7389 1.7858
H -4.5958 2.6430 2.9968
H -4.0877 4.5200 4.2770
H -2.5772 5.3731 3.9368
H -2.6512 4.2105 5.2566
H -0.5080 3.6904 3.5254
H 1.1736 2.5513 2.5824
H 2.9332 0.2867 2.2634
H 3.0399 1.9298 1.5903
H 3.0700 -0.7093 0.0141
H 4.3718 0.4743 0.2194
H 3.4868 0.9116 -1.9583
H 2.7922 2.1835 -0.9361
H 1.5475 1.5596 -3.2948
H -0.2686 2.0387 -4.6436
'''
Reply:
N 1.4711 0.6559 -1.4579
C 0.9591 0.9531 -2.6056
C -0.3386 0.5781 -3.0757
C -0.8514 1.2446 -4.2003
C -1.0905 -0.4849 -2.4673
O -0.6460 -1.1802 -1.4905
C -1.8330 1.2393 1.5277
O -1.5604 0.3995 0.6115
H -3.6139 1.3744 -6.1825
H -1.9561 1.5106 -6.7854
H -2.6039 2.7538 -5.7271
H -3.8057 -0.3302 -4.5685
H -4.1604 -1.9903 -3.0000
H -2.0453 -2.4313 -1.0012
H -3.4126 -4.4152 -0.6566
H -4.7372 -3.6100 -1.5131
H -3.6106 -2.8878 1.2435
H -5.1809 -3.5861 0.8680
H -5.8622 -1.3733 1.0525
H -5.3820 -1.3366 -0.6456
H -3.0624 -0.6368 0.3791